Tools are multipliers. Rather, tools can be multipliers, but all too often they’re not. Or rather, they multiply distraction rather than productivity. Like any other craft, software developers need tools to do their job. On the obvious end, tools are physical implements like computers and mobile devices. Design and development applications like your terminal, text editor, web applications, and other coding tools count as well. Then there’s open source packages and frameworks. Even analog implements like pen and paper are tools of the trade.

And we’re always on the lookout for new and better tools—a process which can be a distraction as well. The right tools can work wonders for productivity, but too often we don’t question the net productivity of our tools. With physical tools, it’s important to keep a variety of tools for very specialized tasks, but with software, teams have a tendency to continuously add more and more tools to their development stack and workflow regardless of whether they’re necessary or even the best tool for the job.

Evaluate the net benefit of tools

With every new tool, it’s not just about the upside. Tangible things like learning curves can help temper our adoption of new tools, but sometimes, it’s the more subtle drawbacks that go unnoticed until we’re in too deep. Maybe we over-engineer our stack or add an open-source package that increases maintenance or exposure to security risks.

In some cases, tools may save a little bit of time, but in the case of packages or frameworks, every time there’s a new release, the upgrade process can be painful. Then dependencies come into play. While package management tools have helped, there’s often still a spider web of dependencies that each bring their own baggage. The result is that you’re forced to either spend time upgrading or delay upgrading and accept the associated risks. Either way, more tools means more maintenance of those tools.

And that’s the best case. What happens if a package stops being maintained? Do you have the knowledge to update it yourself? What if a package or library you use has several additional dependencies and one of those stops being maintained? There’s a significant level of risk with the adoption of packages. The question of whether it will save you time now isn’t the important one. Will it save you time over the life of improving and maintaining your code? All of this contributes to focus. Maintaining code is part of building anything, but there’s a point where maintenance shouldn’t be significantly detracting from improvement.

What comes next are molecular data, not part of the article =
'''
(i)
The following is a quantum chemistry calculation of a cluster of 2 separate species, C4H8N2S2 in total, from OMol25.

```
16
Properties=species:S:1:pos:R:3:lowdin_charge:R:1
C 1.426 0.095 0.768 -0.5661
C 0.117 -0.611 0.431 -0.4336
C 0.041 -1.932 0.061 -0.0223
C -0.934 1.669 0.230 -0.2700
H 3.253 -0.745 -0.999 0.0277
H 1.211 0.962 1.410 0.0694
H 1.797 -0.689 1.258 0.0143
H -0.732 -2.163 -0.822 -0.0038
H 0.858 -2.653 0.138 0.0572
H -1.380 -1.137 -1.595 0.1057
H 0.013 2.191 0.070 0.1019
H -2.786 2.108 -0.259 -0.0530
N -1.035 0.221 0.259 -0.4837
N -1.909 2.453 -0.127 0.0857
S 2.577 0.711 -0.518 0.6075
S -2.518 -0.478 -0.305 0.7632
```

The frontier orbital gap comes out at 0.2940 hartree. The spin multiplicity is 1. The HOMO energy comes out at -8.7 eV.

=====

(ii)
The following is a quantum chemistry calculation of the molecule C4H8N2S2, from OMol25.

```
16
Properties=species:S:1:pos:R:3:lowdin_charge:R:1
C 0.130 2.562 1.368 -0.1165
C 0.778 1.451 0.567 -0.9221
S 1.761 1.763 -0.731 0.6139
N 0.592 0.222 1.090 0.0447
C 0.282 -0.898 0.566 -0.2472
N -0.411 -1.163 -0.572 -0.5287
C -0.508 -2.534 -1.058 -0.1331
S -1.264 0.029 -1.435 0.8145
H -0.977 2.438 1.324 0.0873
H 0.411 3.554 0.958 0.0692
H 0.444 2.508 2.399 0.0688
H 0.538 -1.805 1.110 0.1298
H -0.068 -3.253 -0.299 0.0984
H -1.556 -2.848 -1.214 0.0781
H 0.061 -2.645 -2.019 0.0965
H -0.211 0.621 -2.056 -0.1534
```

The frontier orbital gap comes out at 0.3131 hartree. Its SMILES is CC(=S)/N=C\N(C)S. The spin multiplicity is 1. The HOMO energy comes out at -8.2 eV.

=====

We find (ii) to be the most stable, with the next structure 4.722 eV higher.

=====

(i)
The following is a quantum chemistry calculation of the molecule C4H9IN2, from OMol25.

```
16
Properties=species:S:1:pos:R:3:lowdin_charge:R:1
C -1.356 1.217 2.311 -0.1107
C -0.473 1.336 1.022 -0.6245
I 1.055 3.026 0.820 0.5525
N -0.394 0.290 0.311 -0.0490
N 0.267 -0.237 -0.647 -0.2542
C 1.425 0.031 -1.449 -0.0714
C -0.326 -1.591 -0.894 -0.0319
H -0.875 1.193 3.283 0.0646
H -2.034 2.028 2.345 0.0401
H -1.900 0.305 2.163 0.0578
H 2.078 0.836 -1.045 0.0419
H 1.967 -0.922 -1.566 0.0916
H 1.122 0.395 -2.378 0.0615
H 0.142 -2.026 -1.808 0.0849
H -0.045 -2.289 -0.134 0.0733
H -1.371 -1.469 -1.073 0.0735
```

The frontier orbital gap comes out at 0.3167 hartree. Its SMILES is C/C(I)=N/N(C)C. The spin multiplicity is 1. The HOMO energy comes out at -8.0 eV.

=====

(ii)
The following is a quantum chemistry calculation of the molecule C4H9IN2, from OMol25.

```
16
Properties=species:S:1:pos:R:3:lowdin_charge:R:1
C 1.215 -0.936 -0.861 -0.0134
C 0.076 -0.158 -0.079 -0.4427
N -0.317 1.164 -0.377 -0.1550
N 0.474 2.151 0.310 0.0280
C -0.319 -0.729 1.341 -0.1388
C -1.205 -1.074 0.269 -0.6326
I -3.167 -0.148 0.056 0.7338
H 0.896 -1.459 -1.714 0.0448
H 1.691 -1.799 -0.403 0.0731
H 1.876 -0.121 -1.161 0.0712
H -0.705 1.426 -1.257 0.0943
H -0.139 2.913 0.582 0.0763
H 1.236 2.377 -0.272 0.0450
H -0.741 -0.238 2.235 0.1150
H 0.443 -1.403 1.580 0.0774
'''
End of the molecular data =

Commit to your tools and become an expert

That’s enough about your codebase. You know that maintenance can be distracting. What about the applications you install on your machine? How well do you know your text editor? How’s your keyboard shortcut game? Are you pushing it to its limits? What about your terminal and related tools? Or do you spend so much time trying every new tool that you’re not great with any of them?

Getting to know your primary tools forward and backward is one of the best ways to stay in the zone. Sometimes that’s memorizing keyboard shortcuts. Other times, it may mean watching a few hours of tutorials. More often than not, your best bet is getting to know your existing tools better rather than hoping some other tool will elevate your productivity simply from switching. You want to get to a point where your primary tools are almost extensions of how you think and work. Muscle memory takes over, and you no longer have to think about the tool. You just use it, and it just works.

That’s not to say that there’s not a time and place to try new tools. Learning curves for development tools are steep, and so the cost of adopting a new tool is significant, but at some point, there’s likely going to be a new tool that’s worth the learning curve. The key is to avoid being haphazard with trying new tools. Make a point to be deliberate about investigating new tools.

Don’t default to digital tools

One of the most under-rated tools for programming is our good old-fashioned analog tools like pen and paper. Writing and drawing ideas before setting out to write code can help you think from a different angle. Programming may require a computer, but thinking doesn’t. In some ways, thinking can’t happen at a computer because it’s constantly pinging you with notifications and other distractions. When we’re at a computer, we often fall into the traps of thinking based on the way computers allow us to create. Pen and paper can help remove some of those limitations.

Leverage tools for heavy lifting

Finally, don’t hesitate to streamline regular processes like deployments. It may take some time to move from manually syncing files and restarting servers, but it’s worth it. Similarly, as your stack grows, your release process will invariably break down or struggle. When something goes wrong, it’s worth it to fix the problem rather than let it fester and just deal with it manually. Resilience and flexibility are your friends, and building those into your own tools will save plenty of time dealing with things that aren’t directly productive. We’ll address that more in the automation chapter.

Regardless of the tools that work for you, always have high expectations. Do they enable you to focus, or do they force you to get sidetracked? Once you’re familiar with it, does it feel effortless, or does it feel like you’re fighting it? Do you fully utilize its capabilities or just a small portion? If a tool doesn’t support or free you, fix it or fire it.

Your next steps

  1. Pay close attention to the net benefit of your tools.
  2. Be deliberate about investigating new tools without bouncing from tool to tool.
  3. Take time to learn the keyboard shortcuts and power features of your tools.
  4. Look for advanced tutorials for your text editor/IDE of choice.
  5. Turn to analog tools like pen/pencil and paper more frequently.